Please set down the lines underneath from the one with "-2.171 4.247" to the one with "-3.395 -1.184" without additions.

-- begin --
(1)
Below is 5 unconnected molecules or ions with the total composition C51H106ClN2O4P2S in a non-equilibrium geometry, with properties calculated with ωB97M-V/def2-TZVPD.

The max |F| comes out at 6.82 eV/A. As for the HOMO energy: -5.30 eV. The LUMO energy comes out at 0.0765 Eh. As for the calculated total energy: -3957.9832 a.u. Its gap between HOMO and LUMO is 7.39 eV.

Geometry as ORCA input:
```
! wB97M-V def2-TZVPD RIJCOSX def2/J DEFGRID3
* xyz -1 1
C 2.765 0.684 3.633
C 2.095 0.742 2.492
C 1.130 0.591 1.184
P 1.934 -0.889 0.301
S 3.771 -0.550 -0.309
O 1.632 1.715 0.374
P 0.307 2.626 -0.375
C 1.340 4.130 -0.939
C 2.881 4.140 -0.450
C 3.859 3.297 -1.469
C 5.287 4.047 -1.572
N 5.990 3.856 -2.895
C 7.093 2.883 -2.811
C 7.118 1.700 -3.948
O 8.015 2.878 -1.915
C 0.773 1.634 -1.931
C -0.243 0.470 -2.385
C 0.593 -0.471 -3.452
C -0.103 -0.572 -4.903
N -0.070 -1.934 -5.537
C 1.271 -2.594 -5.438
C -0.358 -1.825 -6.991
C 0.726 -1.834 -8.193
O -1.595 -1.665 -7.325
C -1.180 3.616 -1.155
C -2.171 4.247 -0.054
C -1.657 5.616 0.627
Cl -3.768 4.683 -0.937
O -0.901 1.548 0.271
C -0.481 0.662 1.387
C -0.895 1.620 2.652
C -0.809 1.244 4.030
C -1.398 -0.643 1.085
C -2.472 -1.005 2.231
C -1.921 -1.869 3.475
C -0.358 -2.255 3.439
C -0.235 -3.655 2.595
H 3.345 0.373 4.583
H 2.010 -2.027 1.210
H 1.179 -1.343 -0.829
H 0.064 3.449 0.815
H 0.856 5.096 -0.493
H 1.356 4.308 -2.087
H 3.046 3.868 0.655
H 3.245 5.248 -0.558
H 3.357 3.417 -2.520
H 3.926 2.180 -1.199
H 5.217 5.203 -1.421
H 5.924 3.674 -0.668
H 5.329 3.643 -3.659
H 7.481 2.181 -4.927
H 7.841 0.902 -3.529
H 6.017 1.321 -4.007
H 1.816 1.143 -1.743
H 0.939 2.309 -2.872
H -0.578 -0.253 -1.558
H -1.221 0.879 -2.872
H 0.717 -1.524 -2.966
H 1.683 -0.069 -3.562
H 0.497 0.136 -5.617
H -1.194 -0.195 -4.943
H 1.381 -3.531 -6.126
H 2.170 -1.879 -5.616
H 1.422 -3.014 -4.358
H 1.434 -2.763 -8.187
H 1.336 -0.861 -8.204
H 0.151 -1.914 -9.202
H -0.833 4.468 -1.846
H -1.743 2.824 -1.807
H -2.477 3.537 0.794
H -0.904 5.416 1.497
H -1.042 6.205 -0.166
H -2.518 6.286 0.986
H -1.258 2.705 2.435
H -1.317 1.916 4.831
H -0.249 0.305 4.427
H -2.024 -0.430 0.122
H -0.775 -1.592 0.807
H -3.053 -0.081 2.645
H -3.296 -1.653 1.712
H -2.134 -1.289 4.454
H -2.561 -2.844 3.544
H 0.348 -1.432 3.061
H -0.042 -2.497 4.533
H -0.962 -3.555 1.693
H -0.657 -4.533 3.234
H 0.854 -3.833 2.268
C -0.021 -5.726 -7.952
C 0.516 -6.996 -7.307
C 2.002 -6.912 -6.953
C 2.948 -6.720 -8.144
C 2.860 -7.795 -9.229
C 3.235 -9.184 -8.732
H 0.472 -5.517 -8.905
H -1.092 -5.828 -8.149
H 0.120 -4.862 -7.296
H 0.324 -7.850 -7.964
H -0.049 -7.183 -6.387
H 2.284 -7.818 -6.406
H 2.154 -6.081 -6.255
H 3.976 -6.682 -7.764
H 2.762 -5.743 -8.602
H 3.542 -7.521 -10.042
H 1.857 -7.819 -9.665
H 4.252 -9.193 -8.330
H 3.191 -9.903 -9.555
H 2.552 -9.532 -7.953
C -1.882 -4.145 6.974
C -2.998 -3.127 7.162
C -2.574 -1.909 7.986
C -2.155 -2.210 9.428
C -3.210 -2.916 10.282
C -4.478 -2.097 10.472
H -1.554 -4.566 7.928
H -2.228 -4.972 6.349
H -1.018 -3.688 6.482
H -3.867 -3.614 7.615
H -3.322 -2.780 6.174
H -3.395 -1.184 7.988
H -1.738 -1.413 7.480
H -1.883 -1.264 9.912
H -1.243 -2.817 9.424
H -2.777 -3.120 11.269
H -3.462 -3.891 9.852
H -4.254 -1.135 10.941
H -5.179 -2.633 11.119
H -4.984 -1.909 9.522
C -7.458 3.785 -6.835
C -7.378 2.649 -5.824
C -7.145 3.131 -4.390
C -5.826 3.876 -4.156
C -4.561 3.096 -4.520
C -4.375 1.831 -3.694
H -6.522 4.346 -6.887
H -7.662 3.386 -7.833
H -8.263 4.479 -6.577
H -6.596 1.945 -6.123
H -8.321 2.091 -5.852
H -7.202 2.269 -3.716
H -7.970 3.792 -4.100
H -5.775 4.161 -3.099
H -5.834 4.815 -4.719
H -3.695 3.748 -4.357
H -4.559 2.844 -5.585
H -4.331 2.065 -2.627
H -3.439 1.337 -3.970
H -5.186 1.118 -3.860
C 4.707 3.244 10.187
C 4.243 2.333 9.060
C 3.984 3.078 7.748
C 2.871 4.130 7.803
C 1.500 3.609 8.238
C 0.923 2.567 7.291
H 3.948 3.987 10.445
H 4.912 2.655 11.086
H 5.626 3.769 9.911
H 3.349 1.785 9.373
H 5.018 1.579 8.881
H 3.755 2.345 6.967
H 4.910 3.572 7.432
H 2.778 4.584 6.809
H 3.169 4.941 8.476
H 0.807 4.457 8.287
-- stop --

C -2.171 4.247 -0.054
C -1.657 5.616 0.627
Cl -3.768 4.683 -0.937
O -0.901 1.548 0.271
C -0.481 0.662 1.387
C -0.895 1.620 2.652
C -0.809 1.244 4.030
C -1.398 -0.643 1.085
C -2.472 -1.005 2.231
C -1.921 -1.869 3.475
C -0.358 -2.255 3.439
C -0.235 -3.655 2.595
H 3.345 0.373 4.583
H 2.010 -2.027 1.210
H 1.179 -1.343 -0.829
H 0.064 3.449 0.815
H 0.856 5.096 -0.493
H 1.356 4.308 -2.087
H 3.046 3.868 0.655
H 3.245 5.248 -0.558
H 3.357 3.417 -2.520
H 3.926 2.180 -1.199
H 5.217 5.203 -1.421
H 5.924 3.674 -0.668
H 5.329 3.643 -3.659
H 7.481 2.181 -4.927
H 7.841 0.902 -3.529
H 6.017 1.321 -4.007
H 1.816 1.143 -1.743
H 0.939 2.309 -2.872
H -0.578 -0.253 -1.558
H -1.221 0.879 -2.872
H 0.717 -1.524 -2.966
H 1.683 -0.069 -3.562
H 0.497 0.136 -5.617
H -1.194 -0.195 -4.943
H 1.381 -3.531 -6.126
H 2.170 -1.879 -5.616
H 1.422 -3.014 -4.358
H 1.434 -2.763 -8.187
H 1.336 -0.861 -8.204
H 0.151 -1.914 -9.202
H -0.833 4.468 -1.846
H -1.743 2.824 -1.807
H -2.477 3.537 0.794
H -0.904 5.416 1.497
H -1.042 6.205 -0.166
H -2.518 6.286 0.986
H -1.258 2.705 2.435
H -1.317 1.916 4.831
H -0.249 0.305 4.427
H -2.024 -0.430 0.122
H -0.775 -1.592 0.807
H -3.053 -0.081 2.645
H -3.296 -1.653 1.712
H -2.134 -1.289 4.454
H -2.561 -2.844 3.544
H 0.348 -1.432 3.061
H -0.042 -2.497 4.533
H -0.962 -3.555 1.693
H -0.657 -4.533 3.234
H 0.854 -3.833 2.268
C -0.021 -5.726 -7.952
C 0.516 -6.996 -7.307
C 2.002 -6.912 -6.953
C 2.948 -6.720 -8.144
C 2.860 -7.795 -9.229
C 3.235 -9.184 -8.732
H 0.472 -5.517 -8.905
H -1.092 -5.828 -8.149
H 0.120 -4.862 -7.296
H 0.324 -7.850 -7.964
H -0.049 -7.183 -6.387
H 2.284 -7.818 -6.406
H 2.154 -6.081 -6.255
H 3.976 -6.682 -7.764
H 2.762 -5.743 -8.602
H 3.542 -7.521 -10.042
H 1.857 -7.819 -9.665
H 4.252 -9.193 -8.330
H 3.191 -9.903 -9.555
H 2.552 -9.532 -7.953
C -1.882 -4.145 6.974
C -2.998 -3.127 7.162
C -2.574 -1.909 7.986
C -2.155 -2.210 9.428
C -3.210 -2.916 10.282
C -4.478 -2.097 10.472
H -1.554 -4.566 7.928
H -2.228 -4.972 6.349
H -1.018 -3.688 6.482
H -3.867 -3.614 7.615
H -3.322 -2.780 6.174
H -3.395 -1.184 7.988